_To do_
What is needed: copy all of the lines below exactly.
_Data_
# 1
FeH2C2O4: calculated powder diffraction line list (Cu Kα (weighted mean of Kα1 and Kα2)), based on a crystal structure in the Materials Project, relaxed with GGA+U.
Peak positions follow from Bragg's law for the DFT cell and can differ from measured ones.

Atomic structure:
a b c (Å): 10.978 5.421 9.359
angles (deg): 90.00 125.79 90.00
Space group C2/c (No. 15)
Unique sites:
Fe (0.000, 0.167, 0.250) (multiplicity 4)
H (0.156, 0.168, 0.249) (multiplicity 8)
C (0.051, 0.333, 0.852) (multiplicity 8)
O (0.087, 0.124, 0.927) (multiplicity 8)
O (0.089, 0.458, 0.427) (multiplicity 8)

Largest 10 diffraction maxima, sorted by position, 2θ = 5–70°:
h k l  2θ/deg  I_rel
2 0 0  19.96  100
1 1 1  25.40  11
4 0 -2  32.63  25
1 1 -3  34.85  12
3 1 1  42.09  6
2 2 -3  44.26  13
1 1 3  45.80  6
0 2 3  49.27  6
6 0 -2  51.37  6
4 2 1  60.35  5

***

# 2
MnFe2P2O18: calculated powder diffraction line list (Cu Kα (weighted mean of Kα1 and Kα2)), based on a crystal structure in the Materials Project, relaxed with GGA+U.
Peak positions follow from Bragg's law for the DFT cell and can differ from measured ones.

Atomic structure:
a b c (Å): 6.869 10.045 10.261
angles (deg): 106.33 107.41 94.68
Space group P-1 (No. 2)
Unique sites:
Mn (0.152, 0.002, 0.280) (multiplicity 2)
Fe (0.000, 0.500, 0.500) (multiplicity 1)
Fe (0.237, 0.499, 0.247) (multiplicity 2)
Fe (0.500, 0.500, 0.000) (multiplicity 1)
P (0.055, 0.305, 0.907) (multiplicity 2)
P (0.364, 0.314, 0.460) (multiplicity 2)
O (0.006, 0.486, 0.318) (multiplicity 2)
O (0.017, 0.128, 0.203) (multiplicity 2)
O (0.046, 0.374, 0.059) (multiplicity 2)
O (0.059, 0.145, 0.876) (multiplicity 2)
O (0.074, 0.943, 0.635) (multiplicity 2)
O (0.143, 0.678, 0.205) (multiplicity 2)
O (0.163, 0.670, 0.632) (multiplicity 2)
O (0.197, 0.888, 0.389) (multiplicity 2)
O (0.219, 0.389, 0.539) (multiplicity 2)
O (0.251, 0.375, 0.887) (multiplicity 2)
O (0.316, 0.328, 0.307) (multiplicity 2)
O (0.333, 0.154, 0.445) (multiplicity 2)
O (0.335, 0.973, 0.195) (multiplicity 2)
O (0.379, 0.714, 0.966) (multiplicity 2)
O (0.385, 0.072, 0.714) (multiplicity 2)
O (0.410, 0.621, 0.445) (multiplicity 2)
O (0.445, 0.519, 0.166) (multiplicity 2)
O (0.451, 0.780, 0.903) (multiplicity 2)

Largest 10 diffraction maxima, sorted by position, 2θ = 5–70°:
h k l  2θ/deg  I_rel
0 1 0  9.33  100
1 0 -1  13.84  39
0 1 -2  18.40  52
0 2 0  18.72  37
1 0 1  19.23  42
1 0 -2  19.46  26
1 -2 1  22.67  41
1 -3 1  29.27  39
1 2 1  30.71  34
0 2 2  31.02  26

***

# 3
Na2PdW6S2N2O6: calculated powder diffraction line list (Cu Kα (weighted mean of Kα1 and Kα2)), based on a crystal structure in the Materials Project, relaxed with GGA+U.
Peak positions follow from Bragg's law for the DFT cell and can differ from measured ones.

Atomic structure:
a b c (Å): 6.520 7.642 8.223
angles (deg): 113.60 100.34 91.33
Space group P-1 (No. 2)
Unique sites:
Na (0.124, 0.171, 0.221) (multiplicity 2)
Pd (0.500, 0.500, 0.000) (multiplicity 1)
W (0.035, 0.189, 0.600) (multiplicity 2)
W (0.360, 0.998, 0.694) (multiplicity 2)
W (0.492, 0.636, 0.388) (multiplicity 2)
S (0.248, 0.705, 0.050) (multiplicity 2)
N (0.202, 0.345, 0.539) (multiplicity 2)
O (0.040, 0.671, 0.932) (multiplicity 2)
O (0.209, 0.709, 0.243) (multiplicity 2)
O (0.331, 0.917, 0.104) (multiplicity 2)

Largest 10 diffraction maxima, sorted by position, 2θ = 5–70°:
h k l  2θ/deg  I_rel
0 0 1  12.00  94
0 1 -1  13.43  100
-1 1 1  22.86  31
1 1 -2  24.20  40
1 2 -2  29.42  27
0 1 2  31.79  54
2 -1 1  32.19  26
1 -3 1  37.62  44
2 -1 2  38.84  30
1 -2 3  39.62  52

***

# 4
MgV2O4F2: calculated powder diffraction line list (Cu Kα (weighted mean of Kα1 and Kα2)), based on a crystal structure in the Materials Project, relaxed with GGA+U.
Peak positions follow from Bragg's law for the DFT cell and can differ from measured ones.

Atomic structure:
a b c (Å): 5.113 5.146 5.365
angles (deg): 92.13 116.31 118.50
Space group P1 (No. 1)
Unique sites:
Mg (0.000, 0.000, 0.000) (multiplicity 1)
_Worked solution_
# 1
FeH2C2O4: calculated powder diffraction line list (Cu Kα (weighted mean of Kα1 and Kα2)), based on a crystal structure in the Materials Project, relaxed with GGA+U.
Peak positions follow from Bragg's law for the DFT cell and can differ from measured ones.

Atomic structure:
a b c (Å): 10.978 5.421 9.359
angles (deg): 90.00 125.79 90.00
Space group C2/c (No. 15)
Unique sites:
Fe (0.000, 0.167, 0.250) (multiplicity 4)
H (0.156, 0.168, 0.249) (multiplicity 8)
C (0.051, 0.333, 0.852) (multiplicity 8)
O (0.087, 0.124, 0.927) (multiplicity 8)
O (0.089, 0.458, 0.427) (multiplicity 8)

Largest 10 diffraction maxima, sorted by position, 2θ = 5–70°:
h k l  2θ/deg  I_rel
2 0 0  19.96  100
1 1 1  25.40  11
4 0 -2  32.63  25
1 1 -3  34.85  12
3 1 1  42.09  6
2 2 -3  44.26  13
1 1 3  45.80  6
0 2 3  49.27  6
6 0 -2  51.37  6
4 2 1  60.35  5

***

# 2
MnFe2P2O18: calculated powder diffraction line list (Cu Kα (weighted mean of Kα1 and Kα2)), based on a crystal structure in the Materials Project, relaxed with GGA+U.
Peak positions follow from Bragg's law for the DFT cell and can differ from measured ones.

Atomic structure:
a b c (Å): 6.869 10.045 10.261
angles (deg): 106.33 107.41 94.68
Space group P-1 (No. 2)
Unique sites:
Mn (0.152, 0.002, 0.280) (multiplicity 2)
Fe (0.000, 0.500, 0.500) (multiplicity 1)
Fe (0.237, 0.499, 0.247) (multiplicity 2)
Fe (0.500, 0.500, 0.000) (multiplicity 1)
P (0.055, 0.305, 0.907) (multiplicity 2)
P (0.364, 0.314, 0.460) (multiplicity 2)
O (0.006, 0.486, 0.318) (multiplicity 2)
O (0.017, 0.128, 0.203) (multiplicity 2)
O (0.046, 0.374, 0.059) (multiplicity 2)
O (0.059, 0.145, 0.876) (multiplicity 2)
O (0.074, 0.943, 0.635) (multiplicity 2)
O (0.143, 0.678, 0.205) (multiplicity 2)
O (0.163, 0.670, 0.632) (multiplicity 2)
O (0.197, 0.888, 0.389) (multiplicity 2)
O (0.219, 0.389, 0.539) (multiplicity 2)
O (0.251, 0.375, 0.887) (multiplicity 2)
O (0.316, 0.328, 0.307) (multiplicity 2)
O (0.333, 0.154, 0.445) (multiplicity 2)
O (0.335, 0.973, 0.195) (multiplicity 2)
O (0.379, 0.714, 0.966) (multiplicity 2)
O (0.385, 0.072, 0.714) (multiplicity 2)
O (0.410, 0.621, 0.445) (multiplicity 2)
O (0.445, 0.519, 0.166) (multiplicity 2)
O (0.451, 0.780, 0.903) (multiplicity 2)

Largest 10 diffraction maxima, sorted by position, 2θ = 5–70°:
h k l  2θ/deg  I_rel
0 1 0  9.33  100
1 0 -1  13.84  39
0 1 -2  18.40  52
0 2 0  18.72  37
1 0 1  19.23  42
1 0 -2  19.46  26
1 -2 1  22.67  41
1 -3 1  29.27  39
1 2 1  30.71  34
0 2 2  31.02  26

***

# 3
Na2PdW6S2N2O6: calculated powder diffraction line list (Cu Kα (weighted mean of Kα1 and Kα2)), based on a crystal structure in the Materials Project, relaxed with GGA+U.
Peak positions follow from Bragg's law for the DFT cell and can differ from measured ones.

Atomic structure:
a b c (Å): 6.520 7.642 8.223
angles (deg): 113.60 100.34 91.33
Space group P-1 (No. 2)
Unique sites:
Na (0.124, 0.171, 0.221) (multiplicity 2)
Pd (0.500, 0.500, 0.000) (multiplicity 1)
W (0.035, 0.189, 0.600) (multiplicity 2)
W (0.360, 0.998, 0.694) (multiplicity 2)
W (0.492, 0.636, 0.388) (multiplicity 2)
S (0.248, 0.705, 0.050) (multiplicity 2)
N (0.202, 0.345, 0.539) (multiplicity 2)
O (0.040, 0.671, 0.932) (multiplicity 2)
O (0.209, 0.709, 0.243) (multiplicity 2)
O (0.331, 0.917, 0.104) (multiplicity 2)

Largest 10 diffraction maxima, sorted by position, 2θ = 5–70°:
h k l  2θ/deg  I_rel
0 0 1  12.00  94
0 1 -1  13.43  100
-1 1 1  22.86  31
1 1 -2  24.20  40
1 2 -2  29.42  27
0 1 2  31.79  54
2 -1 1  32.19  26
1 -3 1  37.62  44
2 -1 2  38.84  30
1 -2 3  39.62  52

***

# 4
MgV2O4F2: calculated powder diffraction line list (Cu Kα (weighted mean of Kα1 and Kα2)), based on a crystal structure in the Materials Project, relaxed with GGA+U.
Peak positions follow from Bragg's law for the DFT cell and can differ from measured ones.

Atomic structure:
a b c (Å): 5.113 5.146 5.365
angles (deg): 92.13 116.31 118.50
Space group P1 (No. 1)
Unique sites:
Mg (0.000, 0.000, 0.000) (multiplicity 1)